Due to the high increase in global oil and gas prices, the inflation rate in the UK is running at 9%. The public authority has gone under strain to offer more monetary help for families confronting a living cost increase. One idea was to introduce a one-off tax on the ‘windfall’ profits of oil and gas companies, which have risen substantially following the spike in energy prices. And on Thursday, Finance Minister Rishi Sunak unveiled the new 25% tax on the profits of energy producers with an aim to help the country’s energy supplies and security to stop the worldwide energy cost emergency growing into a stockpile emergency.
You might be wondering what windfall tax is and why it is being imposed in the UK? The answer to this riddle is that a windfall tax is levied against companies deemed to have made excessively high profits, or a ‘windfall’, from circumstances they did not engineer. They are time-limited and are usually applied retrospectively on profits, and according to a poll conducted by a firm, 63% of the UK public supports this levy.
Molecular data that have nothing to do with the page.
<<<
Entry 1:
The following is a DFT calculation (ωB97M-V with the def2-TZVPD basis set) of a structure of composition C25H41N2O2PdSi4Te.

## Properties
* energy above the lowest of the compared OMol25 structures with the same formula, charge and spin: 53.8 kJ/mol
* charge: -1
* gap between HOMO and LUMO: 6.5595 eV
* maximum force: 0.60 eV/A
* highest occupied orbital energy: -3.95 eV

Each line ends with the Löwdin charge.
Cartesian coordinates (Å):
Pd (0.448, -0.227, 2.474)  0.650
O (2.299, 0.039, 3.211)  -0.278
C (2.485, 0.449, 4.418)  -0.344
C (3.797, 0.891, 4.751)  -0.019
C (4.106, 1.403, 5.982)  -0.101
C (3.140, 1.494, 6.998)  -0.124
C (1.878, 1.033, 6.726)  -0.076
C (1.517, 0.498, 5.474)  -0.142
C (0.193, -0.063, 5.381)  -0.092
N (-0.273, -0.679, 4.365)  -0.072
C (-1.633, -1.218, 4.347)  -0.192
C (-1.957, -1.545, 2.887)  -0.239
N (-1.516, -0.394, 2.108)  -0.134
C (-2.426, 0.445, 1.731)  -0.116
C (-2.313, 1.803, 1.334)  -0.163
C (-3.428, 2.357, 0.656)  -0.112
C (-3.464, 3.657, 0.244)  -0.140
C (-2.341, 4.476, 0.529)  -0.111
C (-1.277, 4.012, 1.237)  -0.029
C (-1.216, 2.660, 1.762)  -0.413
O (-0.320, 2.315, 2.553)  -0.069
H (4.537, 0.835, 3.963)  0.112
H (5.116, 1.751, 6.169)  0.096
H (3.386, 1.907, 7.966)  0.086
H (1.114, 1.070, 7.497)  0.101
H (-0.415, 0.001, 6.290)  0.130
H (-2.343, -0.478, 4.728)  0.121
H (-1.692, -2.119, 4.966)  0.115
H (-3.028, -1.739, 2.755)  0.112
H (-1.390, -2.424, 2.576)  0.102
H (-3.449, 0.047, 1.735)  0.124
H (-4.266, 1.699, 0.438)  0.105
H (-4.314, 4.050, -0.298)  0.083
H (-2.335, 5.503, 0.178)  0.092
H (-0.432, 4.651, 1.467)  0.103
C (-2.055, 1.508, -2.425)  -0.211
Si (-0.273, 1.216, -2.926)  0.322
C (-0.205, 1.137, -4.814)  -0.224
C (0.775, 2.662, -2.356)  -0.222
Si (0.528, -0.768, -1.971)  -0.026
Te (1.726, -0.419, 0.183)  0.467
Si (-1.113, -2.428, -2.072)  0.324
C (-2.454, -2.201, -0.777)  -0.213
C (-1.946, -2.397, -3.768)  -0.218
C (-0.351, -4.130, -1.812)  -0.225
Si (2.303, -1.500, -3.315)  0.290
C (3.259, -2.901, -2.504)  -0.231
C (3.487, -0.064, -3.598)  -0.226
C (1.729, -2.125, -5.004)  -0.222
H (-2.412, 2.485, -2.762)  0.033
H (-2.154, 1.483, -1.339)  0.004
H (-2.716, 0.744, -2.845)  0.016
H (-0.626, 2.051, -5.242)  0.024
H (-0.774, 0.289, -5.204)  0.014
H (0.824, 1.044, -5.169)  0.007
H (0.364, 3.604, -2.730)  0.027
H (1.805, 2.568, -2.707)  0.018
H (0.798, 2.701, -1.265)  0.013
H (-2.950, -1.234, -0.881)  0.019
H (-2.007, -2.244, 0.216)  0.003
H (-3.207, -2.992, -0.858)  0.029
H (-2.465, -1.448, -3.922)  0.011
H (-2.684, -3.200, -3.850)  0.024
H (-1.221, -2.516, -4.576)  0.009
H (0.247, -4.141, -0.898)  0.029
H (0.303, -4.401, -2.644)  0.011
H (-1.128, -4.896, -1.728)  0.023
H (3.577, -2.613, -1.501)  0.000
H (4.144, -3.151, -3.096)  0.024
H (2.644, -3.799, -2.412)  0.011
H (3.774, 0.385, -2.645)  0.020
H (3.022, 0.713, -4.210)  0.010
H (4.394, -0.400, -4.109)  0.024
H (1.121, -3.027, -4.899)  0.011
H (2.594, -2.380, -5.625)  0.024
H (1.137, -1.379, -5.537)  0.007



Entry 2:
>>>
The page goes on.

According to the windfall tax document made public by the government: “the levy, a new ‘super-deduction’ style relief is being introduced to encourage firms to invest in oil and gas extraction in the UK.” That’s what the public authority added “The new 80% Investment Allowance will mean organizations will generally speaking get a 91p duty putting something aside for each £1 they contribute – furnishing them with an extra, quick motivator to contribute.

It means that the UK government has given oil companies an escape hatch through which they can not only avoid the tax but can perpetuate the problem of dependence on volatile oil and gas, as well as climate change. This nearly doubles the tax relief available and means the more investment a firm makes, the less tax it will pay.
According to the advisors at Legend Financial, a higher duty on company profits would mean, in addition to other things, a lower profit paid out by the organization and possibly a lower share cost than in any case. This would bring down the wages of investors, and since the pensioners hold an enormous extent of UK shares, this could unfavorably affect the household pensions.
**The article is interrupted by calculated molecules**
-- begin --
1.
Here is 2 unconnected molecules or ions with the total composition C4H8N2 at a distorted geometry from the Open Molecules 2025 dataset. Energies are from ωB97M-V/def2-TZVPD.

Structure (XYZ):
```
14
Properties=species:S:1:pos:R:3:nbo_charge:R:1
C 1.17443 0.08593 0.00393 0.39
C -2.30395 -0.19837 0.31212 0.77
C -3.32005 0.39090 -0.37814 -0.84
C 3.67396 0.02127 -0.02638 -0.49
N -1.35381 -0.68460 0.78530 -0.54
N 2.30730 0.12107 -0.04238 -0.12
H 0.04595 0.22445 0.19708 0.29
H -3.33901 1.48509 -0.30305 0.37
H -4.13288 0.37946 0.40654 0.38
H -3.41963 0.09408 -1.43866 0.36
H 4.00436 0.93335 0.42917 0.29
H 4.20068 0.11274 -0.93920 0.30
H 3.83478 -0.99961 0.45806 0.30
H -0.95991 -1.32062 1.48205 0.52
```

The highest occupied orbital energy comes out at -0.7752 hartree. As for the LUMO energy: -9.2 eV. Its net charge is +2. The calculation puts the maximum force at 3.13 eV/A.

2.
Here is 5 unconnected molecules or ions with the total composition C52H63Br2F4NO5 at a distorted geometry from the Open Molecules 2025 dataset. Energies are from ωB97M-V/def2-TZVPD.

Structure (XYZ):
```
127
Properties=species:S:1:pos:R:3:mulliken_charge:R:1
C -4.02460 -9.02869 0.87980 -1.03
C -4.37522 -7.62272 0.28133 -0.19
O -3.76847 -6.51895 0.97834 -0.33
C -2.85090 -5.83599 0.15533 0.37
O -1.93037 -6.48745 -0.26958 -0.55
C -3.03867 -4.31168 -0.11568 -0.88
C -1.96468 -3.69939 -1.08906 -0.51
C -1.07877 -2.54712 -0.44850 0.31
C -1.14332 -1.18175 -1.20845 3.53
C -0.63965 -1.43916 -2.68958 -1.53
C 0.90818 -1.70389 -2.82878 1.18
C 1.33448 -3.22890 -2.81685 -0.36
C 2.74052 -3.30113 -2.06709 -0.02
O 2.55812 -3.05587 -0.65909 -0.11
C 2.33580 -4.29207 0.04511 -0.79
C -0.33490 0.06127 -0.64078 0.43
C 0.45323 -0.10372 0.72889 -0.92
C 1.73596 0.83086 0.75404 0.71
C 2.04018 1.28264 2.26100 -1.05
O 2.86662 0.05526 0.32783 -0.27
C 3.94574 0.89780 -0.14540 -0.87
C 4.41002 0.26026 -1.51037 0.86
C 5.51255 -0.69512 -1.43128 -0.63
C 5.91670 -1.32496 -2.69776 -0.44
C 5.26796 -1.02928 -3.97223 -0.67
C 4.18521 -0.05703 -3.98081 -0.35
C 3.74045 0.59721 -2.75538 -0.22
C -1.30889 1.32315 -0.66202 -0.79
O -1.11165 2.33813 -0.05555 -0.55
N -2.40880 0.98412 -1.57484 0.04
C -2.54968 -0.47942 -1.38101 -1.50
C -3.68616 -0.71706 -0.32127 -0.37
Br -3.09869 -0.57274 1.56133 -0.06
C -4.89148 0.33041 -0.52053 -0.06
C -4.86405 1.55001 0.46487 -1.19
Br -6.56090 -0.69280 -0.07204 -0.19
H -2.92227 -9.23348 0.92548 0.28
H -4.42058 -9.18829 1.91697 0.28
H -4.50940 -9.82581 0.24488 0.32
H -5.49295 -7.50622 0.39099 0.27
H -4.15260 -7.64449 -0.81906 0.31
H -4.05151 -4.22171 -0.61048 0.34
H -3.14129 -3.72063 0.83927 0.26
H -2.53856 -3.26298 -1.95838 0.33
H -1.30904 -4.48661 -1.55129 0.43
H -0.00958 -2.90188 -0.49294 -1.80
H -1.33759 -2.49757 0.63733 1.12
H -0.86115 -0.50622 -3.28695 0.18
H -1.16808 -2.26976 -3.22466 0.26
H 1.54799 -1.16879 -2.08436 -1.07
H 1.21288 -1.30353 -3.84009 0.36
H 0.58591 -3.90698 -2.33971 -0.25
H 1.55683 -3.58333 -3.86426 0.54
H 3.33787 -2.42238 -2.44602 -0.60
H 3.30550 -4.24099 -2.29143 0.55
-- stop --
Sunak pressed to impose energy windfall tax. (n.d.). Retrieved from Financial Times: https://www.ft.com/content/5a2cde0c-cae6-4c3a-bc89-6f51b0dce1c3
U.K. imposes windfall tax on oil and gas company profits as inflation bites. (n.d.). Retrieved from The Washington Post: https://www.washingtonpost.com/world/2022/05/27/britain-windfall-tax-oil-gas-inflation/
UK Windfall Taxes—It’s a Matter of Politics. (n.d.). Retrieved from Bloomberg Tax: https://news.bloombergtax.com/daily-tax-report-international/uk-windfall-taxes-its-a-matter-of-politics
What is a windfall tax? (n.d.). Retrieved from UK in a Changing Europe: https://ukandeu.ac.uk/the-facts/what-is-a-windfall-tax/
Windfall taxes. (n.d.). Retrieved from Institute for Government: https://www.instituteforgovernment.org.uk/article/explainer/windfall-taxes